The Yellowstone saga, a cornerstone of modern television, has officially concluded after five tumultuous seasons. With its rushed finale, the series left many fans feeling unsatisfied, with unresolved storylines and overlooked characters. Yet, beneath this frustration lies the promise of a broader narrative universe, as Taylor Sheridan prepares multiple sequel and prequel series to continue the Dutton legacy.
-- Data records from another source follow --
Record 1
65
Properties=species:S:1:pos:R:3:forces:R:3:nbo_charge:R:1 method="wB97M-V/def2-TZVPD" e_homo_ev=-5.61 total_charge=0 e_above_lowest_kj_mol=0.0
P 0.5448 -2.0995 -0.1569 -2.8 1.5 -1.9 0.911
P 0.1379 1.5095 0.5045 -0.2 -1.0 -0.2 0.753
C 0.5072 -0.6648 -1.3529 1.1 -0.8 -0.8 -0.736
C 0.9732 0.7342 -0.9345 0.0 0.4 -0.2 -0.741
H -0.4992 -0.6674 -1.7950 0.3 0.1 0.2 0.242
H 1.1960 -1.0126 -2.1261 -0.1 0.6 -0.3 0.212
H 2.0591 0.7288 -0.7296 -0.4 0.0 0.0 0.231
H 0.7906 1.4338 -1.7573 0.4 -0.5 0.1 0.242
C -1.2629 2.5319 -0.0984 0.0 0.2 -0.2 -0.950
H -1.4981 3.2764 0.6799 0.1 -0.3 -0.3 0.259
H -2.1531 1.8933 -0.2391 0.4 0.3 0.0 0.245
H -1.0270 3.0500 -1.0417 -0.1 0.0 0.3 0.223
C 1.4352 2.6315 1.0956 0.2 0.3 0.5 -0.943
H 1.2191 3.6795 0.8290 0.1 -0.4 0.0 0.240
H 2.4171 2.3238 0.7054 -0.4 0.2 0.1 0.235
H 1.4348 2.5540 2.1921 0.2 0.2 -0.6 0.283
C -0.4163 -3.4294 -0.9391 0.5 -0.6 -1.0 -0.968
H -0.3100 -4.3329 -0.3100 -0.1 0.4 -0.3 0.246
H -0.0203 -3.6337 -1.9497 -0.2 -0.4 0.2 0.211
H -1.4777 -3.1603 -1.0059 0.4 0.0 0.1 0.247
C 2.2643 -2.6863 -0.3881 -0.1 -0.1 0.8 -0.947
H 2.9739 -1.8505 -0.3265 -0.2 -0.3 0.1 0.249
H 2.3341 -3.1597 -1.3776 -0.1 0.2 0.2 0.233
H 2.4955 -3.4385 0.3796 0.1 0.3 -0.3 0.250
Zn -0.7148 -0.5856 1.1590 0.7 -0.5 1.8 1.466
C 0.6732 1.2441 -4.0014 -0.7 0.7 0.0 -0.184
C -0.6458 1.1989 -3.7252 0.9 0.7 -0.6 -0.179
C -1.6502 0.5436 -4.6238 -0.5 -0.3 0.1 -0.449
C -1.3201 -0.8999 -5.0698 -0.4 0.1 -0.3 -0.447
C -0.5145 -1.7368 -4.1184 0.7 -0.6 -0.3 -0.191
C 0.8280 -1.8019 -4.1347 -0.8 -0.6 -0.6 -0.185
C 1.7267 -0.9505 -4.9925 0.2 0.1 0.0 -0.447
C 1.3397 0.5449 -5.1504 0.5 0.2 -0.6 -0.454
C 0.6744 -1.7034 2.2560 1.0 1.1 2.1 -1.441
H 1.3392 1.9742 -3.5040 -0.6 -0.7 0.1 0.205
H -1.0893 1.7829 -2.9105 0.4 -0.1 -0.2 0.203
H -1.7794 1.1580 -5.5323 0.0 -0.1 0.3 0.222
H -2.6328 0.5414 -4.1262 0.3 0.0 -0.1 0.210
H -2.2834 -1.4124 -5.2095 0.3 0.1 -0.2 0.220
H -0.8418 -0.8629 -6.0582 0.0 -0.1 0.3 0.207
H -1.1103 -2.4053 -3.4784 0.5 0.3 -0.2 0.204
H 1.3602 -2.5930 -3.5898 -0.4 0.4 0.1 0.199
H 1.8001 -1.3862 -6.0053 0.0 0.1 0.3 0.226
H 2.7517 -0.9981 -4.5888 -0.4 0.0 0.0 0.212
H 2.2875 1.0786 -5.3272 -0.3 -0.1 -0.1 0.218
H 0.7579 0.6603 -6.0746 0.0 0.0 0.2 0.208
H 1.3098 -0.8585 2.5802 0.2 -0.6 0.6 0.231
H 1.3394 -2.5343 1.9860 -0.2 0.1 0.2 0.185
H 0.0554 -2.0563 3.0946 0.2 0.1 0.1 0.235
O 0.9282 3.4138 4.7955 0.1 -0.5 0.0 -0.927
S 0.7411 1.9879 4.6956 -1.3 -0.6 -1.3 2.267
O 1.8967 1.1175 4.7478 -0.6 0.7 0.2 -0.917
N -0.1563 1.6018 3.3167 0.3 -0.3 0.3 -0.887
C -1.2153 0.8441 3.5726 0.7 -0.1 -1.4 0.639
O -1.8447 0.1163 2.7069 0.2 0.9 0.9 -0.820
C -1.5630 0.8390 4.9993 -0.4 -0.8 1.2 -0.159
C -2.6309 0.1802 5.6167 0.5 0.3 0.0 -0.164
C -2.6776 0.1530 7.0106 0.2 0.4 0.2 -0.204
C -1.6903 0.7969 7.7896 0.1 -0.2 -0.7 -0.197
C -0.5922 1.4075 7.1561 -0.5 -0.1 0.0 -0.210
C -0.5575 1.4154 5.7607 -0.1 -0.2 1.4 -0.224
H -3.3677 -0.3047 4.9843 0.0 0.0 0.2 0.234
H -3.4943 -0.3619 7.5135 0.1 0.1 -0.1 0.217
H -1.7589 0.7736 8.8805 0.1 0.0 -0.4 0.221
-- Back to the article --
The Disappointment of the Finale
Season 5 of Yellowstone saw numerous storylines abruptly abandoned, leaving a void where closure should have been. Characters like Monica were relegated to the sidelines, contributing little to the narrative. Even the Yellowstone Ranch itself, the heart of the series, was dismissed with surprising ease. While Sheridan’s storytelling faltered in wrapping up the main series, these decisions hint at a larger plan to explore the Dutton legacy through future spin-offs.
_Here the article breaks off for records of molecules_
+++
# 1
ORCA calculation (ωB97M-V with the def2-TZVPD basis set) on an isolated ion of composition C13H22Cl2NO2 and charge +1 at a distorted geometry.

Output
HOMO level   -12.240 eV
LUMO   -3.40 eV
Charge   +1
Kohn-Sham gap   0.32492 Eh
SMILES   CCC(=O)OCC[C@@H]1CC[NH2+]C[C@@H]1/C(Cl)=C(\C)Cl

The geometry in XYZ format:
```
40
Properties=species:S:1:pos:R:3:forces:R:3
C 4.155 -1.126 0.691 -0.192 0.158 -0.588
C 3.160 -1.809 -0.257 -0.453 0.341 0.279
C 2.102 -2.562 0.523 -0.128 1.684 -1.091
O 2.351 -3.589 1.003 0.475 -2.796 1.408
O 0.817 -2.051 0.625 -0.026 0.735 -0.352
C 0.664 -1.052 1.646 -0.364 -0.528 0.214
C -0.236 0.115 1.210 0.395 -0.064 -0.323
C -0.658 0.057 -0.261 1.051 1.004 -0.340
C 0.577 0.501 -1.141 -0.995 0.076 -0.204
C 0.344 1.796 -1.913 0.908 -0.685 -0.071
N -0.080 2.804 -0.912 -0.032 0.095 0.310
C -1.386 2.460 -0.229 -0.160 -0.365 -0.894
C -1.834 1.017 -0.536 0.100 0.220 0.881
C -3.061 0.759 0.325 0.362 1.947 0.287
Cl -3.744 2.123 1.207 0.193 -0.072 -0.138
C -3.666 -0.385 0.431 -0.864 -1.580 -0.284
C -3.222 -1.614 -0.299 0.121 -0.189 0.812
Cl -5.072 -0.562 1.407 -0.002 -0.245 0.037
H 4.834 -0.527 0.092 0.237 0.040 0.035
H 3.664 -0.456 1.390 0.001 0.034 0.179
H 4.723 -1.875 1.224 0.095 -0.085 0.259
H 3.690 -2.560 -0.827 0.073 -0.151 -0.201
H 2.704 -1.109 -0.949 0.053 0.122 -0.036
H 1.643 -0.745 1.998 0.081 0.311 -0.057
H 0.180 -1.536 2.489 0.040 -0.173 0.185
H 0.340 1.032 1.342 -0.009 0.196 0.183
H -1.089 0.193 1.876 -0.228 -0.126 0.048
H -0.851 -0.944 -0.591 -0.398 -0.319 0.232
H 0.801 -0.279 -1.859 0.200 -0.092 -0.102
H 1.457 0.664 -0.525 0.162 -0.191 0.159
H -0.346 1.707 -2.741 -0.411 0.200 0.098
H 1.301 2.106 -2.317 0.070 0.294 -0.178
H 0.642 2.791 -0.190 0.056 0.157 -0.069
H -0.112 3.758 -1.271 -0.023 -0.103 -0.133
H -2.133 3.136 -0.608 -0.115 0.393 0.056
H -1.233 2.608 0.823 -0.066 0.150 0.338
H -2.158 0.945 -1.570 0.083 -0.002 -0.279
H -2.843 -1.405 -1.291 -0.256 -0.010 -0.284
H -4.025 -2.337 -0.281 -0.100 -0.118 -0.407
H -2.401 -2.052 0.267 0.067 -0.262 0.030
```
Positions in Å, forces in eV/Å.

---

# 2
ORCA calculation (ωB97M-V with the def2-TZVPD basis set) on C13H22ClI2NOPRu as an isolated structure at a distorted geometry.

Output
HOMO level (alpha / beta)   -14.321 / -15.274 eV
Relative energy (zero: lowest compared OMol25 entry of this formula, charge and spin)   0.0 kcal per mole
LUMO (alpha / beta)   -5.78 / -10.11 eV
Charge   +2
⟨S²⟩   8.797
Kohn-Sham gap (alpha / beta)   0.31401 / 0.18992 Eh
2S+1   6

The geometry in XYZ format:
```
42
Properties=species:S:1:pos:R:3:forces:R:3
I -0.322 -2.696 0.057 0.111 -0.104 0.442
I -1.078 2.580 -0.765 -0.358 1.330 0.471
Ru 0.138 0.151 0.241 4.894 0.239 2.072
P 0.288 0.048 -2.064 -0.250 -0.569 -3.972
C -1.308 -0.004 -2.984 0.106 -0.016 0.476
C 1.166 1.378 -2.971 0.042 0.222 0.462
H 2.165 -1.447 -2.269 -0.201 -0.118 -0.162
H 1.282 -1.258 -3.821 -0.034 0.057 0.176
H 0.612 -2.319 -2.530 0.294 0.332 -0.184
C 1.175 -1.401 -2.740 0.067 -0.214 0.447
+++
_The article goes on_
Kayce’s Rise as the New Patriarch
Someone pasted records of molecules at this point
[1]
C24H60B2FN4O6 | ωB97M-V with the def2-TZVPD basis set

Results
- F_max (Eh/bohr) = 0.048
- Kohn-Sham gap (hartree) = 0.2383
- energy (Eh) = -1770.4878
- total charge = -1

Each line ends with the Mulliken charge.
Cartesian coordinates (Å):
1 C 1.448 1.880 1.368  -0.4575
2 C 0.335 2.380 0.455  -0.3358
3 O 0.029 1.466 -0.569  -0.9531
4 B -0.799 0.375 -0.287  0.7150
5 O -1.875 0.615 0.644  -0.4119
6 B -0.637 -1.172 -0.976  0.4703
7 C -0.502 -2.371 0.161  -1.0388
8 C 0.483 -2.141 1.288  0.7950
9 C 0.545 -3.297 2.321  -1.1650
10 C 0.750 -4.682 1.745  -1.0107
11 N 2.031 -4.917 1.021  0.3311
12 C 2.368 -6.339 1.137  -1.1080
13 C 3.122 -4.155 1.581  0.5061
14 C 3.602 -4.454 2.996  -1.4788
15 O 3.710 -3.306 0.911  -0.5277
16 C 0.506 -1.262 -2.172  -0.6355
17 C 1.941 -1.444 -1.725  1.4273
18 C 2.924 -1.389 -2.893  -1.8478
19 F 2.343 -0.437 -0.842  -0.3034
20 H 2.405 2.027 0.874  0.3369
21 H 1.458 2.443 2.300  -0.0196
22 H 1.379 0.814 1.566  -0.0338
23 H -0.534 2.685 1.045  0.2986
24 H 0.698 3.289 -0.029  0.3295
25 H -1.553 0.611 1.544  0.2963
26 H -1.733 -1.354 -1.535  -0.3821
27 H -1.497 -2.522 0.596  0.0965
28 H -0.272 -3.299 -0.370  0.1150
29 H 0.209 -1.264 1.879  0.1128
30 H 1.497 -1.965 0.932  -0.0403
31 H 1.248 -3.067 3.121  0.2963
32 H -0.444 -3.317 2.785  0.5498
33 H -0.054 -4.912 1.053  0.5327
34 H 0.670 -5.416 2.559  0.4013
35 H 2.590 -6.635 2.168  0.4367
36 H 1.491 -6.910 0.845  0.3629
37 H 3.195 -6.602 0.485  0.2892
38 H 4.098 -3.555 3.346  0.3604
39 H 2.800 -4.685 3.690  0.3915
40 H 4.337 -5.252 2.977  0.3901
41 H 0.275 -2.024 -2.914  -0.0262
42 H 0.465 -0.307 -2.715  0.1578
43 H 2.039 -2.421 -1.249  -0.2251
44 H 3.930 -1.636 -2.552  0.4061
45 H 2.597 -2.019 -3.712  0.3000
46 H 2.943 -0.354 -3.233  0.4522
47 C -4.604 4.019 -2.093  -1.6455
48 C -3.913 3.214 -0.994  0.5092
49 C -4.264 3.660 0.432  -0.7618
50 O -3.660 4.869 0.866  -0.3497
51 C -4.257 6.049 0.379  -0.7093
52 N -2.473 3.206 -1.236  -0.6179
53 H -4.113 4.976 -2.271  0.2978
54 H -4.570 3.468 -3.033  0.3962
55 H -5.655 4.210 -1.855  0.3587
56 H -4.262 2.181 -1.080  0.4672
57 H -3.891 2.893 1.114  0.2783
58 H -5.354 3.721 0.570  0.4874
59 H -5.345 5.950 0.307  0.3122
60 H -3.852 6.333 -0.596  0.2386
61 H -4.022 6.851 1.081  0.2483
62 H -2.049 2.562 -0.565  -0.0280
63 H -2.108 4.119 -0.979  0.3258
64 C -1.597 -3.623 -8.080  -1.4073
65 C -1.096 -4.377 -6.853  0.3833
66 C -1.525 -3.767 -5.510  -0.8369
67 O -0.840 -2.599 -5.134  -0.1144
68 C -1.261 -1.407 -5.763  -0.8075
69 N 0.360 -4.526 -6.948  -0.7738
70 H -1.002 -2.734 -8.285  0.2964
71 H -1.530 -4.259 -8.964  0.3475
72 H -2.639 -3.319 -7.963  0.3361
73 H -1.535 -5.379 -6.890  0.3907
74 H -1.296 -4.494 -4.726  0.3323
75 H -2.611 -3.597 -5.485  0.4201
76 H -2.343 -1.400 -5.930  0.3463
77 H -0.739 -1.246 -6.711  0.2455
78 H -0.999 -0.585 -5.098  0.2545
79 H 0.681 -5.133 -6.200  0.2832
80 H 0.774 -3.624 -6.728  0.3427
81 C 1.550 3.878 7.352  -1.4017
82 C 2.653 4.619 6.602  0.3693
83 C 2.148 5.587 5.524  -0.7238
One of the few bright spots in Season 5 was Kayce Dutton, who emerged as a central figure in the final episodes. For a character who often played a secondary role, this newfound prominence was refreshing. Kayce solved John’s murder, safeguarded the ranch, and broke free from the Dutton legacy’s oppressive expectations. By establishing his own ranch and brand, Kayce symbolically shed the generational curse of the Yellowstone Ranch, setting the stage for a potential spin-off focused on his new journey.
Monica’s Redemption Arc
Monica’s character, once integral to the series, was nearly invisible in the finale. Her sidelining frustrated fans who valued her perspective on the Dutton family’s power and influence. However, a spin-off featuring Kayce and Monica could provide her with a much-needed redemption arc, exploring her thoughts, struggles, and heritage in greater depth. Such a series would also offer an opportunity to delve into Native American culture, an essential but underexplored element of Yellowstone.
The Upcoming Prequel: 1944
Sheridan’s next major project, 1944, promises to transport viewers to a critical moment in Dutton history. Set during World War II, the series will highlight the challenges of maintaining the Yellowstone Ranch amidst wartime labor shortages and the rise of industrial agriculture. This era, steeped in resilience and sacrifice, will likely focus on the Dutton women as they step into leadership roles, echoing the strength and determination of future generations.
Exploring New Characters
Fans are buzzing about potential casting choices for 1944. Matthew McConaughey is rumored to join the franchise, potentially as a friend-turned-foe of the Duttons. Additionally, Isabelle May, who captivated audiences as Elsa Dutton in 1883, may return in a new role, giving her a second chance to shine. These casting decisions, combined with Sheridan’s commitment to interconnected storytelling, suggest 1944 will be a compelling addition to the Yellowstone universe.
Bridging Generations
With prequels like 1883 and 1923, Sheridan has masterfully crafted a rich tapestry of Dutton history. 1944 will bridge the gap between these early struggles and the modern-day drama of the original series, deepening our understanding of the family’s resilience. As we await the next chapter in this saga, it’s clear that the Dutton legacy is far from over.
Final Thoughts
While Yellowstone’s finale left much to be desired, the promise of future spin-offs and prequels offers hope for fans eager to explore the Duttons’ rich history and evolving legacy. Whether through Kayce and Monica’s new venture or the wartime challenges of 1944, Sheridan’s universe continues to expand, ensuring the Yellowstone story remains as captivating as ever.
Are you excited for the upcoming spin-offs? What are your thoughts on 1944 and the potential return of beloved characters? Let’s keep the conversation going as we anticipate the next chapter of this epic saga.